**Source:**
'''
Entry 1:
BeCo2Si (PBE-GGA, relaxed); corrected total energy (MP2020 scheme) = -6.425 eV per atom; polymorph energy (0 for the lowest one) = 0 meV/atom
1.0
5.364 0.000 0.000
0.000 5.364 0.000
0.000 0.000 5.364
Be Co Si
4 8 4
Direct
0.000 0.000 0.000
0.000 0.500 0.500
0.500 0.000 0.500
0.500 0.500 0.000
0.250 0.250 0.250
0.250 0.250 0.750
0.250 0.750 0.250
0.250 0.750 0.750
0.750 0.250 0.250
0.750 0.250 0.750
0.750 0.750 0.250
0.750 0.750 0.750
0.000 0.000 0.500
0.000 0.500 0.000
0.500 0.000 0.000
0.500 0.500 0.500

Entry 2:
DFT (PBE-GGA) results for a geometry-optimized Be12Cr structure.

Cell and atoms, written as POSCAR:
```
Be12Cr
1.0
-3.597 3.597 2.061
3.597 -3.597 2.061
3.597 3.597 -2.061
Be Cr
12 1
Direct
0.000 0.000 0.500
0.000 0.211 0.211
0.000 0.500 0.000
0.000 0.789 0.789
0.152 0.500 0.652
0.211 0.000 0.211
0.500 0.000 0.000
0.500 0.152 0.652
0.500 0.500 0.500
0.500 0.848 0.348
0.789 0.000 0.789
0.848 0.500 0.348
0.500 0.500 0.000
```

Entry 3:
DFT (PBE-GGA) results for a geometry-optimized BeCr3 structure.

Cell and atoms, written as POSCAR:
```
BeCr3
1.0
3.511 0.000 0.000
0.000 3.511 0.000
0.000 0.000 3.511
Be Cr
1 3
Direct
0.000 0.000 0.000
0.000 0.500 0.500
0.500 0.000 0.500
0.500 0.500 0.000
```

Number 1: calculated formation energy -0.580 eV/atom, VASP energy -25.77 eV per formula unit. Number 2: calculated formation energy -0.051 eV/atom, VASP energy -55.18 eV per formula unit. Number 3: calculated formation energy 0.127 eV/atom, VASP energy -32.19 eV per formula unit.
'''
**To do:**
Search the lines earlier on for the word "atom" and duplicate each line that has it, please.
**Written answer:**
BeCo2Si (PBE-GGA, relaxed); corrected total energy (MP2020 scheme) = -6.425 eV per atom; polymorph energy (0 for the lowest one) = 0 meV/atom
Number 1: calculated formation energy -0.580 eV/atom, VASP energy -25.77 eV per formula unit. Number 2: calculated formation energy -0.051 eV/atom, VASP energy -55.18 eV per formula unit. Number 3: calculated formation energy 0.127 eV/atom, VASP energy -32.19 eV per formula unit.